[Brief]
Reproduce all of the contents below with every line break kept.

[Given]
********
# Ac3Cu2Pd4Pb2
Simulated X-ray powder pattern, Cu Kα (λ = 1.5418 Å). Input: a structure optimized by DFT (GGA-PBE).
Peak positions follow from Bragg's law for the DFT cell and can differ from measured ones.

Most intense lines, 2θ from 10° to 80°, low angle first:
2θ/deg	Rel. int.	index
23.14	26	1 0 1
25.25	21	0 1 2
28.45	34	1 0 3
32.44	100	0 1 4
39.30	79	1 1 0
51.84	27	2 0 4
58.20	16	1 1 7
63.15	12	1 1 8
66.94	26	1 2 4
71.24	14	3 0 0

Structure:
a b c (Å): 4.585 4.585 15.358
angles (deg): 90.00 90.00 120.00
Element x y z (fractional)
1 Ac 0.000 0.000 0.000
2 Ac 0.000 0.000 0.259
3 Ac 0.000 0.000 0.741
4 Cu 0.333 0.667 0.134
5 Cu 0.667 0.333 0.866
6 Pd 0.333 0.667 0.372
7 Pd 0.333 0.667 0.871
8 Pd 0.667 0.333 0.129
9 Pd 0.667 0.333 0.628
10 Pb 0.333 0.667 0.565
11 Pb 0.667 0.333 0.435
********

[Result]
# Ac3Cu2Pd4Pb2
Simulated X-ray powder pattern, Cu Kα (λ = 1.5418 Å). Input: a structure optimized by DFT (GGA-PBE).
Peak positions follow from Bragg's law for the DFT cell and can differ from measured ones.

Most intense lines, 2θ from 10° to 80°, low angle first:
2θ/deg	Rel. int.	index
23.14	26	1 0 1
25.25	21	0 1 2
28.45	34	1 0 3
32.44	100	0 1 4
39.30	79	1 1 0
51.84	27	2 0 4
58.20	16	1 1 7
63.15	12	1 1 8
66.94	26	1 2 4
71.24	14	3 0 0

Structure:
a b c (Å): 4.585 4.585 15.358
angles (deg): 90.00 90.00 120.00
Element x y z (fractional)
1 Ac 0.000 0.000 0.000
2 Ac 0.000 0.000 0.259
3 Ac 0.000 0.000 0.741
4 Cu 0.333 0.667 0.134
5 Cu 0.667 0.333 0.866
6 Pd 0.333 0.667 0.372
7 Pd 0.333 0.667 0.871
8 Pd 0.667 0.333 0.129
9 Pd 0.667 0.333 0.628
10 Pb 0.333 0.667 0.565
11 Pb 0.667 0.333 0.435